Loop conization
Inserted here: calculated crystals =
'''
Entry 1:
DFT (PBE-GGA) results for a relaxed structure of Sr2ZnIn.

Lattice parameters (Å, degrees): 5.5805 5.5805 5.5805 60.00 60.00 60.00
With the nearest neighbours (Å) after each atom.
Element x y z (fractional)
In1 0.5000 0.5000 0.5000  4 Sr 3.42, 4 Zn 3.42
Sr1 0.0000 0.0000 0.0000  4 Sr 3.42, 4 Zn 3.42
Sr2 0.2500 0.2500 0.2500  4 In 3.42, 4 Sr 3.42
Zn1 0.7500 0.7500 0.7500  4 In 3.42, 4 Sr 3.42

Results
The calculated volume is 122.9 Å³/cell. Its symmetry is F-43m (216). Its formation enthalpy at 0 K is -0.06 eV per atom.

=====

Entry 2:
DFT (PBE-GGA) results for a relaxed structure of SrZrIn2.

Lattice parameters (Å, degrees): 3.5993 4.9205 6.4948 90.00 90.00 90.00
With the nearest neighbours (Å) after each atom.
Element x y z (fractional)
In1 0.0000 0.0000 0.9463  2 Sr 3.12-3.37, 4 Zr 3.16
In2 0.5000 0.5000 0.2713  1 Zr 2.95, 4 Sr 3.30
Sr1 0.0000 0.0000 0.4655  6 In 3.12-3.37
Zr1 0.5000 0.5000 0.8169  5 In 2.95-3.16

Results
The calculated volume is 115.0 Å³/cell. Its symmetry is Pmm2 (25). Its formation enthalpy at 0 K is 0.05 eV per atom.

=====

Entry 3:
DFT (PBE-GGA) results for a relaxed structure of SrZrIn2.

Lattice parameters (Å, degrees): 5.5845 5.5844 3.3898 90.00 90.00 90.00
With the nearest neighbours (Å) after each atom.
Element x y z (fractional)
In1 0.0000 0.0000 0.0000  4 Zr 3.27, 4 Sr 3.27, 2 In 3.39
In2 0.5000 0.5000 0.0000  4 Sr 3.27, 4 Zr 3.27, 2 In 3.39
Sr1 0.5000 0.0000 0.5000  8 In 3.27, 2 Sr 3.39
Zr1 0.0000 0.5000 0.5000  8 In 3.27, 2 Zr 3.39

Results
The calculated volume is 105.7 Å³/cell. Its symmetry is P4/mmm (123). Its formation enthalpy at 0 K is -0.15 eV per atom.

=====

Entry 4:
DFT (PBE-GGA) results for a relaxed structure of SrZr2In2.

Lattice parameters (Å, degrees): 9.0040 9.0040 3.2153 90.00 90.00 90.00
With the nearest neighbours (Å) after each atom.
Element x y z (fractional)
Sr1 0.0000 0.0000 0.0000  2 Sr 3.22, 4 Zr 3.60
Sr2 0.5000 0.5000 0.0000  2 Sr 3.22, 4 Zr 3.60
Zr1 0.3814 0.8814 0.0000  3 Zr 3.02-3.22, 6 In 3.07-3.15
Zr2 0.8814 0.6186 0.0000  3 Zr 3.02-3.22, 6 In 3.07-3.15
Zr3 0.6186 0.1186 0.0000  3 Zr 3.02-3.22, 6 In 3.07-3.15
Zr4 0.1186 0.3814 0.0000  3 Zr 3.02-3.22, 6 In 3.07-3.15
In1 0.1761 0.6761 0.5000  6 Zr 3.07-3.15, 2 In 3.22
In2 0.6761 0.8239 0.5000  6 Zr 3.07-3.15, 2 In 3.22
In3 0.8239 0.3239 0.5000  6 Zr 3.07-3.15, 2 In 3.22
In4 0.3239 0.1761 0.5000  6 Zr 3.07-3.15, 2 In 3.22

Results
The calculated volume is 260.7 Å³/cell. Its symmetry is P4/mbm (127). The energy relative to the lowest polymorph listed for this composition comes out at 0 meV/atom. Its formation enthalpy at 0 K is -0.13 eV per atom.

=====

Entry 5:
DFT (PBE-GGA) results for a relaxed structure of SrZrIn.

Lattice parameters (Å, degrees): 5.2315 5.2315 5.2315 60.00 60.00 60.00
With the nearest neighbours (Å) after each atom.
Element x y z (fractional)
In1 0.7500 0.7500 0.7500  4 Sr 3.20, 4 Zr 3.20
Sr1 0.0000 0.0000 0.0000  4 In 3.20
Zr1 0.5000 0.5000 0.5000  4 In 3.20

Results
'''
Conization is a diagnostic and therapeutic procedure in which a diseased part of a cone-shaped cervix is cut off with a radio-wave surgical knife. It is very important that all pathological changes are within the cone base.
- - -
# Ag5Pd2Pt, relaxed, DFT GGA-PBE
data_Ag5Pd2Pt
_chemical_formula_sum 'Ag10 Pd4 Pt2'
_symmetry_space_group_name_H-M 'I m m m'
_symmetry_Int_Tables_number 71
_symmetry_space_group_name_Hall '-I 2 2'
_cell_length_a 2.786
_cell_length_b 9.182
_cell_length_c 10.660
_cell_angle_alpha 90.00
_cell_angle_beta 90.00
_cell_angle_gamma 90.00
loop_
_atom_site_label
_atom_site_fract_x
_atom_site_fract_y
_atom_site_fract_z
Ag1 0.000 0.000 0.000
Ag2 0.000 0.267 0.371
Pd1 0.000 0.000 0.264
Pt1 0.000 0.500 0.000
# Total magnetic moment (μB/cell): 0.0
# E above lowest polymorph (eV/atom): 0.060
# Formation energy (eV/atom): 0.042
# Uncorrected energy (eV for the cell shown): -60.69

* * * * *

Below is Dy3Al2Ge3 after structural relaxation, with properties calculated at the GGA-PBE level.

abc: 4.173 5.955 14.496
angles: 90.00 90.00 110.51
Element x y z (fractional)
Al1 0.776 0.553 0.896
Al2 0.776 0.553 0.604
Al3 0.224 0.447 0.104
Al4 0.224 0.447 0.396
Ge1 0.383 0.767 0.540
Ge2 0.617 0.233 0.040
Ge3 0.632 0.264 0.750
Ge4 0.368 0.736 0.250
Ge5 0.617 0.233 0.460
Ge6 0.383 0.767 0.960
Dy1 0.061 0.122 0.885
Dy2 0.648 0.296 0.250
Dy3 0.352 0.704 0.750
Dy4 0.061 0.122 0.615
Dy5 0.939 0.878 0.115
Dy6 0.939 0.878 0.385

- M_tot (Bohr magnetons per cell) = 0.000
- uncorrected energy (eV for the cell shown) = -80.9

* * * * *

PmMg2SnPt4 | GGA-PBE | relaxed

formation energy from the elements	-0.7916	eV/atom

```
data_PmMg2SnPt4
_chemical_formula_sum 'Pm3 Mg6 Sn3 Pt12'
_symmetry_space_group_name_H-M 'R -3 m'
_symmetry_Int_Tables_number 166
_symmetry_space_group_name_Hall '-R 3 2"'
_cell_length_a 4.5624
_cell_length_b 4.5624
_cell_length_c 25.4015
_cell_angle_alpha 90.00
_cell_angle_beta 90.00
_cell_angle_gamma 120.00
loop_
_atom_site_label
_atom_site_type_symbol
_atom_site_fract_x
_atom_site_fract_y
_atom_site_fract_z
_atom_site_occupancy
Pm1 Pm 0.0000 0.0000 0.0000 1
Mg1 Mg 0.0000 0.0000 0.2453 1
Sn1 Sn 0.0000 0.0000 0.5000 1
Pt1 Pt 0.0000 0.0000 0.1279 1
Pt2 Pt 0.0000 0.0000 0.3948 1
```

* * * * *

VASP calculation (PBE) on a relaxed structure of ZnRuPt4.

Cell and atoms, written as CIF:
```
data_ZnRuPt4
_chemical_formula_sum 'Zn4 Ru4 Pt16'
_symmetry_space_group_name_H-M 'F -4 3 m'
_symmetry_Int_Tables_number 216
_symmetry_space_group_name_Hall 'F -4 2 3'
_cell_length_a 7.3940
_cell_length_b 7.3940
_cell_length_c 7.3940
_cell_angle_alpha 90.00
_cell_angle_beta 90.00
_cell_angle_gamma 90.00
loop_
_atom_site_label
_atom_site_type_symbol
_atom_site_fract_x
_atom_site_fract_y
_atom_site_fract_z
_atom_site_occupancy
Zn1 Zn 0.0000 0.0000 0.0000 1
Ru1 Ru 0.2500 0.2500 0.7500 1
Pt1 Pt 0.1250 0.1250 0.3750 1
```

Electronic total energy = -132.488 eV per cell
Total magnetization = 9.2 μB per cell
ΔE_f = 265 meV per atom

* * * * *

No. 1
# SrHfRe3, relaxed, DFT PBE
# * magnetization: 0.64 μB per atom
# * energy above the lowest structure with this stoichiometry: 0.000 eV/atom
data_SrHfRe3
_chemical_formula_sum 'Sr1 Hf1 Re3'
_space_group_name_H-M_alt 'P 1'
_space_group_IT_number 1
- - -
The text goes on:
The depth and width of the cone is determined except by Schiller's trial or colposcopic findings and by the patient's age, as well as by reproductive history (number of births). As a rule, the cone is shallow and wide bases in younger patients. In older patients, the cone may have a narrower base, but the length of the cone is longer - up to the inner mouth of the cervix. The resulting cone is fixed in formalin and referred to the pathologist. Only in this way can the grade of neoplasia be evaluated (CIN I, II, III). In this procedure, the most important thing is that the edges of the cone are free from pathological changes, then conisation is the final therapeutic procedure. If the pathological change affects one of the edges of the cone, treatment is not complete. Rehab or hysterectomy should be performed, depending on the patient's age and birth preference. Classical conization involves the removal of the diseased part of the cervix with a surgical knife - scalpel, which is why it is called surgical conization. Reconstruction of the cervix after surgical conization is performed by circular suturing of the cervix, which almost always leaves minor or major deformity of the cervix.
Recently, a very popular method of conization called electrosurgical resection of the cervical transformation zone with the help of a high frequency current called LEEP (Loop Electrosurgical Excision Procedure). The advantages of this technique are the ease of surgery, shorter surgery time, the possibility of performing an intervention in local anesthesia, as well as less postoperative problems. Early complications of conization are subsequent bleeding (4%), which most commonly occurs 5. days after the intervention. Bleeding may also occur 10 days after the intervention. By its nature, this bleeding cannot endanger the patient. Preparing a pacifier for intervention involves abstinence from eating and drinking for at least 5 hours, performed a PAPA test, colposcopic examination, bacterial examination of the vaginal and cervical swabs. The intervention is performed in the outpatient setting under local anesthesia or short-term intravenous sedation - anesthesia, and the patient's retention time is up to 2 hours.
### Misplaced records of crystals
A geometry-optimized Ac2Pr3UN6 structure. Source: the Alexandria database, functional PBE.

Results
For the size of the total moment, the calculation gives 0.0 μB/cell. For the density of states at the Fermi level, the calculation gives 0.470 states/eV per atom. The raw formation energy comes out at -1265 meV per atom.

a b c (Å): 6.449 11.247 6.355
angles (deg): 90.00 109.72 90.00
Space group C2/m (No. 12)
One atom of each set of equivalent atoms:
Ac: 0.000 0.167 0.000 [4 per cell]
Pr: 0.000 0.000 0.500 [2 per cell]
Pr: 0.000 0.341 0.500 [4 per cell]
U: 0.000 0.500 0.000 [2 per cell]
N: 0.215 0.500 0.760 [4 per cell]
N: 0.216 0.360 0.226 [8 per cell]



A geometry-optimized AcPr2UN4 structure. Source: the Alexandria database, functional PBE.

Results
For the size of the total moment, the calculation gives 9.2 μB/cell. For the density of states at the Fermi level, the calculation gives 0.778 states/eV per atom. The raw formation energy comes out at -1000 meV per atom.

a b c (Å): 3.670 12.773 12.741
angles (deg): 90.00 90.00 90.00
Space group Cmcm (No. 63)
One atom of each set of equivalent atoms:
Ac: 0.000 0.169 0.250 [4 per cell]
Pr: 0.000 0.369 0.014 [8 per cell]
U: 0.000 0.098 0.750 [4 per cell]
N: 0.000 0.000 0.000 [4 per cell]
N: 0.000 0.229 0.628 [8 per cell]
N: 0.000 0.499 0.250 [4 per cell]



A geometry-optimized AcPrUN3 structure. Source: the Alexandria database, functional PBE.

Results
For the size of the total moment, the calculation gives 0.0 μB/cell. For the density of states at the Fermi level, the calculation gives 0.282 states/eV per atom. The raw formation energy comes out at -965 meV per atom.

a b c (Å): 7.918 3.781 8.728
angles (deg): 90.00 98.57 90.00
Space group P2_1/m (No. 11)
One atom of each set of equivalent atoms:
Ac: 0.172 0.250 0.145 [2 per cell]
Pr: 0.379 0.750 0.841 [2 per cell]
U: 0.063 0.250 0.594 [2 per cell]
N: 0.103 0.250 0.844 [2 per cell]
N: 0.203 0.750 0.578 [2 per cell]
N: 0.394 0.750 0.119 [2 per cell]



A geometry-optimized AcPr2VN4 structure. Source: the Alexandria database, functional PBE.

Results
For the size of the total moment, the calculation gives 0.0 μB/cell. For the density of states at the Fermi level, the calculation gives 0.484 states/eV per atom. The raw formation energy comes out at -1141 meV per atom.

a b c (Å): 3.552 12.344 12.334
angles (deg): 90.00 90.00 90.00
Space group Cmcm (No. 63)
One atom of each set of equivalent atoms:
Ac: 0.000 0.085 0.250 [4 per cell]
Pr: 0.000 0.369 0.042 [8 per cell]
V: 0.000 0.178 0.750 [4 per cell]
N: 0.000 0.000 0.000 [4 per cell]
N: 0.000 0.266 0.634 [8 per cell]
N: 0.000 0.410 0.250 [4 per cell]



A geometry-optimized AcPr2WN5 structure. Source: the Alexandria database, functional PBE.

Results
For the size of the total moment, the calculation gives 1.7 μB/cell. For the density of states at the Fermi level, the calculation gives 0.796 states/eV per atom. The raw formation energy comes out at -729 meV per atom.

a b c (Å): 6.936 6.936 6.046
### Here the text continues
It is a method of observing the vulva, vagina and cervix with the help of a colposcope. A colposcope is an optical instrument with a magnification of 5 - 30 times. The accuracy of diagnosis by this method is between 60 - 85%, and in combination with the PAPA test is 98 - 99%. Simple or native colposcopy means simple observation of the cervix and extended colposcopy involves the use of chemical and optical aids. One of the optical aids is a green filter that can better see blood vessels on the surface of the cervix. The chemical aid is 3% acetic acid and Lugol's solution. Under the influence of acetic acid, the cylindrical epithelium of the kidney I becomes "anemic" and the cellular proteins are denatured, which is referred to as the aceto-white reaction. Applying Lugol's solution (Schiller's probe) to the surface of the squamous-layered epithelium, glycogen in the superficial cells binds iodine and the epithelium itself stains to a dark brown color - an iodine positive reaction. An iodine positive reaction with a certain degree of certainty precludes the existence of epithelial atypia.